Thursday, October 29, 2009

A new report on Prop 8

The Heritage Foundation has issued a new report on the discrimination faced by supporters of Proposition 8. It is a powerful assertion of vicious anti-democratic approaches to an important issues. A worthwhile read for all Latter-day Saints and those interested in civil society.

In defense of the press, many of the stories in the report were reported by the news media.

Read the report here.

Monday, October 12, 2009

Sad News in New England

A vicious, stabbing, random murder in New England involves a young suspect who is Latter-day Saint, who reportedly had been considering a mission. A horrific crime that seems to have no explanation.

The heart-wrenching nature of this tale must have caused many broken hearts. I have read a few reports about this and see nothing too bigoted in the coverage of Mormons -- indeed, one article seemed to blame that fact that the young suspect had a hard time fitting in, almost as though the community somehow shared some blame for this atrocity, assuming the young man is guilty of what is alleged. While such a linkage between a Mormon missionary and murder is frustrating, but isn't the fault of the press.

Alas, what often riles Latter-day Saints is when the press reports that a suspect is Mormon, but not the religion of other suspects. I am not very troubled by this, actually, for two reasons:

First, as Latter-day Saints, we wish to be seen as examples, as a light on a hill and a peculiar people. If we are to wish that, we should accept the other parts of it, when our members go wrong.

Second, as a Mormon and journalist, I am aware of times where journalists haven't identified Mormons in print, even when there might be nominal news value in doing so. I am aware of a time or two when such coverage may have hurt the church, actually, but wasn't printed as a connection. So, to be fair, journalists generally do follow professional norms in ways that readers don't always understand.

-- begin --
# NaNiO2
Simulated PXRD pattern, Cu Kα X-rays. Input: a crystal structure in Alexandria, relaxed with GGA+U.

Structure:
abc: 5.5119 3.0408 5.0721
angles: 90.00 106.31 90.00
Element x y z (fractional)
Na  0.0000  0.0000  0.0000
Na  0.0000  0.5000  0.5000
Ni  0.5000  0.0000  0.5000
Ni  0.5000  0.5000  0.0000
O  0.3052  0.0426  0.7613
O  0.3052  0.4574  0.2613
O  0.6948  0.5426  0.7387
O  0.6948  0.9574  0.2387

Top 10 peaks for 2θ = 15–90°, most intense first:
- 2θ 16.76, d 5.290, I 100.0, (1 0 0)
- 2θ 41.16, d 2.193, I 96.9, (1 1 1)
-- stop --

So, no need to complain of the linkage here. It seems relevant to this story -- how could a good kid go bad?

Beyond that, one of the great challenges of being a peculiar people who has suffered persecution, can be a kind of group-think and sense of persecution that can lead to lashing out and pain to others. It can be dangerously isolating. As an LDS member, this sad story again demonstrates the need we have in using care, especially around our teens, in telling the stories of Mormon persecution.

God bless the families involved in this travesty.

Friday, October 9, 2009

My family and the book of Mormon

It has come down to me a late 1800s copy of the Book of Mormon that my 2nd great-grandfather -- and his daughter -- was converted with. It is a family treasure.

My cousin treasures another copy of the book that converted another of our ancestors about the same time.

It needs to be remembered how much this European sacrificed because of the firm testimony they received of this book, fleeing country and family, at times. To come to America where she lived in a tent in the foothills near Provo. My great grandmother suffered a terrible burst appendix as a child and was told she would never have children, but faith helped her have one child, my gentle grandfather.

All this was driven by the results of this remarkable book, the Book of Mormon.

I attach a quote from Elder Holland's talk that critics must answer, if they are serious about their firm attacks on the faith:

For 179 years this book has been examined and attacked, denied and deconstructed, targeted and torn apart like perhaps no other book in modern religious history—perhaps like no other book in any religious history. And still it stands. Failed theories about its origins have been born and parroted and have died—from Ethan Smith to Solomon Spaulding to deranged paranoid to cunning genius. None of these frankly pathetic answers for this book has ever withstood examination because there is no other answer than the one Joseph gave as its young unlearned translator. In this I stand with my own great-grandfather, who said simply enough, “No wicked man could write such a book as this; and no good man would write it, unless it were true and he were commanded of God to do so.

Another witness

In my study of Mormons and the media, one thing has repeatedly stood out: how little care there is in reporting on the Book of Mormon.

While I am largely grateful for the writings of journalists in that their stories of what Joseph Smith said about the Book of Mormon are largely accurate -- telling as they do about golden plates.

They rarely, if ever, however, go into the teachings of the book nor do they really make the Book of Mormon seem as the profound religious challenges that it is. Journalists never frame the story as: what if Joseph Smith really did see an angel in his small bedroom in New York and if he didn't, how, seriously, did Joseph Smith produce a work of such remarkable depth and breadth amid such poverty in such a short time and how is that he was he willing to die for his testimony of the work.

So, my faith in the Book of Mormon has increased, as has my desire to have reporters get -- and report -- what we are actually saying, in all its dimensions.

Hence, this week, I was greatly moved by Elder Holland's talk at general conference on this remarkable book. I urge anyone to read it. To be a serious critic of Mormonism, you must get through the Book of Mormon's origin. No one has successfully done so.

The return of Angels in Washington

The Washington Times is reporting today that Tony Kushner's play Angels in America, which won him a Pulitzer in the 1990s, is back in the Washington D.C. area.

The stellar review of the play was much like the reviews of the 1990s. As my friend Dan Stout observed back then, there are very few writers who even care to notice how painfully mocking the play is of my Mormon faith. The angel in the title is a deliberate metaphor on Angel Moroni. A dying gay man, the plays hero, in that sense, becomes a symbol of Joseph Smith. One scene was set in a visitors' center.

Mormonism in the play is the symbol of all that's wrong with America. I believe the play, therefore, may well be responsible for some of the hostility gay America has felt for Latter-day Saints.

The play mocks Mormon doctrine and the Book of Mormon origin story. Now, I have never chosen to see the play, but I read it when I was a young reporter so I could carefully write about it at the time, so it remains startling to me how few journalists care to point out the bigotry inherent in the play's heart.

Is it that the stereotypes of Mormons are so unquestioned that people don't even see them as bigotry? Is it that Mormonism is so unknown that people don't realize how offensive it is? Is it that Mormonism is seen as just another religion and there is a general antipathy toward religion?

I urge reviewers to think if an ethnic minority were portrayed as Mormons are portrayed and ask whether the play could, in fact, be deeply offensive and ask why. I suggest that Latter-day Saints quietly avoid seeing it. Its author deserves no more money for this terrible play than he has already received.